what is the criminal justice system designed to do- enforce laws, endure public safety and deliver justice, to those who seek it and those who committed crimes.
the main components (3 arms) of the CJS- law enforcement, courts and corrections
what type of functioning does the CJS have?
what does law enforcement comprise of - SAPS, metropolitan police services and the independent police directorate.
what is the first pillar of the CJS?
law enforcemet
what are the responsibilities of the police?
Preventing, combating, and investigatingcrime, maintainingpublicorder, protecting and securingcitizens and their property,upholding and enforcing the law.
what is the mission of the police?
Protect and prevent crime ,Investigate crime Ensure justice is served , participate in efforts to addresscauses of crime
how many divisions are there in SAPS- 11
what is DoJ&CD?
The department of justice and Constitutional development
what is DCS?
The department of correctional services
what is DHA?
The department of home affairs
what is the main focus of the DOJ&CD?
they manage the court systems
what is NPA?
The National Prosecuting Authority
What is one statutory function of Metropolitan Police Services?
Crime prevention
When was the justice, crime prevention and security cluster established in South Africa?
The justice, crime prevention and security cluster (CPJS) was established
Departments of the CPJ
The Department of justice and Constitutional development (also comprises of the NPA, DCS, Home Affairs, and SSA)
The SAPS is mandated to investigate and prevent crime
The DoJ&CD focuses on the management of the court
The NPA is focusing on the prosecution of the suspects
The DCS focuses on the incarceration of the offenders and well as the rehabilitation of the inmates
South African Police Services (SAPS)
What comes next are data records, not part of the text:
┌──
## RbO2 (PBE)

Data for a relaxed RbO2 crystal.

Computed properties:
Formation energy from the elements in meV per atom: -972.3
Crystal system: tetragonal
Energy relative to the lowest polymorph listed for this composition in meV per atom: 0
E_tot in eV per formula unit: -13.47

Unit cell a=4.1943 b=4.1943 c=7.0528 alpha=90.00 beta=90.00 gamma=90.00
Sites, in units of the cell vectors:
Rb1 0.0000 0.0000 0.0000
Rb2 0.5000 0.5000 0.5000
O1 0.0000 0.0000 0.4040
O2 0.0000 0.0000 0.5960
O3 0.5000 0.5000 0.0960
O4 0.5000 0.5000 0.9040

* * * * *

[1]
Computed, not measured: a relaxed NdPd3S4 crystal at the meta-GGA r2SCAN level of DFT.

Results
- Total energy: -277.8 eV/cell

Lattice parameters (Å, degrees): 6.733 6.733 6.733 90.00 90.00 90.00
Fractional coordinates of all 16 atoms:
Nd: 0.000 0.000 0.000
Nd: 0.500 0.500 0.500
Pd: 0.000 0.250 0.500
Pd: 0.000 0.750 0.500
Pd: 0.250 0.500 0.000
Pd: 0.500 0.000 0.250
Pd: 0.500 0.000 0.750
Pd: 0.750 0.500 0.000
S: 0.250 0.250 0.250
S: 0.250 0.250 0.750
S: 0.250 0.750 0.250
S: 0.250 0.750 0.750
S: 0.750 0.250 0.250
S: 0.750 0.250 0.750
S: 0.750 0.750 0.250
S: 0.750 0.750 0.750

[2]
Computed, not measured: a relaxed NdSb2Pd crystal at the meta-GGA r2SCAN level of DFT.

Results
- Total energy: -215.0 eV/cell

Lattice parameters (Å, degrees): 4.496 4.496 9.883 90.00 90.00 90.00
Fractional coordinates of all 8 atoms:
Nd: 0.250 0.250 0.249
Nd: 0.750 0.750 0.751
Sb: 0.250 0.250 0.851
Sb: 0.250 0.750 0.500
Sb: 0.750 0.250 0.500
Sb: 0.750 0.750 0.149
Pd: 0.250 0.750 0.000
Pd: 0.750 0.250 0.000

[3]
Computed, not measured: a relaxed Nd3Si6Pd20 crystal at the meta-GGA r2SCAN level of DFT.

Results
- Total energy: -623.6 eV/cell

Lattice parameters (Å, degrees): 8.710 8.710 8.710 60.00 60.00 60.00
Fractional coordinates of all 29 atoms:
Nd: 0.000 0.000 0.000
Nd: 0.250 0.250 0.250
Nd: 0.750 0.750 0.750
Si: 0.267 0.267 0.733
Si: 0.267 0.733 0.267
Si: 0.267 0.733 0.733
Si: 0.733 0.267 0.267
Si: 0.733 0.267 0.733
Si: 0.733 0.733 0.267
Pd: 0.000 0.000 0.347
Pd: 0.000 0.000 0.653
Pd: 0.000 0.347 0.000
Pd: 0.000 0.347 0.653
Pd: 0.000 0.653 0.000
Pd: 0.000 0.653 0.347
Pd: 0.156 0.615 0.615
Pd: 0.347 0.000 0.000
Pd: 0.347 0.000 0.653
Pd: 0.347 0.653 0.000
Pd: 0.385 0.385 0.385
Pd: 0.385 0.385 0.844
Pd: 0.385 0.844 0.385
Pd: 0.615 0.156 0.615
Pd: 0.615 0.615 0.156
Pd: 0.615 0.615 0.615
Pd: 0.653 0.000 0.000
Pd: 0.653 0.000 0.347
Pd: 0.653 0.347 0.000
Pd: 0.844 0.385 0.385

[4]
Computed, not measured: a relaxed NdSnPd crystal at the meta-GGA r2SCAN level of DFT.

Results
- Total energy: -320.1 eV/cell

Lattice parameters (Å, degrees): 7.509 4.704 7.997 90.00 90.00 90.00
Fractional coordinates of all 12 atoms:
Nd: 0.011 0.250 0.203
Nd: 0.489 0.750 0.703
Nd: 0.511 0.250 0.297
Nd: 0.989 0.750 0.797
Sn: 0.189 0.250 0.588
Sn: 0.311 0.750 0.088
Sn: 0.689 0.250 0.912
Sn: 0.811 0.750 0.412
Pd: 0.200 0.750 0.416
Pd: 0.300 0.250 0.916
Pd: 0.700 0.750 0.084
Pd: 0.800 0.250 0.584

[5]
└──
Is national
Is the first step of the CJS when an arrest is made
Gatekeeper of the CJS
Have different responsibilities, missions, and visions revolving around preventing, combating, and providing service to the community
Metropolitan Police Service (MPS)
Provides for theestablishment of municipal or metropolitan police services
Enforce the law but can't investigate or detain criminals
Assist in dealing with traffic accidents or traffic flow problems
Support the SAPS
Statutory functions of the MPS
Crime Prevention
Traffic policing
Municipal by-law enforcement
How can the MPS prevent crime
1. Increasing police visibility
2. Improving response time
3. Crackdown operation (stop and search, roadblocks)
Traffic policing
1. Consists of checking driver's license, roadworthiness of vehicles, and enforcing road laws
2. NTP (national traffic police) mandated to undertake special traffic operations
3. Jurisdiction all over the country
South African Police Service (SAPS) vs Metropolitan Police Services (MPS) vs Traffic Police
JURISDICTION: SAPS - National, MPS - Regional, Traffic Police - National and local
RESPONSIBILITIES: SAPS - General law enforcement, crime prevention, MPS - Law enforcement in designated metro areas, Traffic Police - Traffic management and enforcement
AREA OF FOCUS: SAPS - General crime, public safety and security, MPS - Crime prevention, public safety, traffic, Traffic Police - Traffic law enforcement and road safety
WHAT THEY CAN AND CANT DO: SAPS - Can arrest, investigate crimes, and enforce the law, MPS - Can arrest, enforce laws within metro area, Traffic Police - Can enforce traffic laws and issue citations
Independent Investigative Directorate (IPID)
Acts as a watchdog over the SAPS and the MPS
Mandate to investigate complaints of brutality or misconduct by members of the SAPS and the MPS
Operates separately
Mission to promote proper police conduct
Vision to promote police conduct by the principles of t
Independent Investigative Directorate (IPID)
Acts as a watchdog over the SAPS and the MPS
Mandate is to investigatecomplaints of brutality or misconduct by members of the SAPS and the MPS
Operates separately
Mission is to promote proper police conduct
Vision is to promote police conduct by the principles of the Constitution
Mission is to conduct an independent, impartial, and quality investigation of criminal offences allegedly committed by law enforcement
Anyone can lodge a complaint against a member of law enforcement
According to Section 28 of the IPID Act 1 of 2011, they will investigate:
Investigations by IPID
Any death in police custody
Death as a result of police actions
Rape by a police official
Rape of any person in police custody
Corruption matters
Matters IPID may not investigate
Domestic violence cases
Matters that happened before ICD opened on the 1st of April 1997
Service delivery complaints against the SAPS and MPS members
Matters that have been dealt with by courts or are currently being dealt with by a court
The 3 theories of the Criminal Justice System (CJS)
Restorative Justice
Centres on a community-based response to crime
Provides opportunities for redemption for offenders and reconciliation with victims
Victim-centered approach
Involves both individual and social approaches
Goal of reintegration for the offender
Allows victims to testify at hearings
Examples of peace-making between offender and victim to develop trust and understanding
Retributive Justice
Belief that everyone who commits a crime should suffer a punishment enforced by a court of law
Focus on deterrence and maintaininglaw and order
Punishment must outweigh the pleasure the offender found in committing the crime
Examples of programmes like Scared Straight
Transformative Justice
Focuses on changing systems and conditions that lead to harm
Examines social, political, and economic systems contributing to wrongdoing
Criticises the CJS as essentially unjust
SAPS Divisions?
crime intelligence, visible policing, community policing , sector policing
purpose of the criminal theories?
help explain human behavior and social phenomena, help us predict the future, inform policy, offer solution
criminal justice theories offer what?
explanations for the causes and consequences of crime, penal systems and criminal behavior